The 99 Percent Spring, a group set up by the trade unions and other pro-Democratic Party organizations, held a rally in Detroit, Michigan Wednesday morning to protest a shareholders meeting of General Electric, the multinational corporation.
The event was highly orchestrated and stage-managed. Hundreds of union officials were bussed in from dozens of states, including Massachusetts, Wisconsin, and Pennsylvania, to give the protest an air of popular support.

# These records of crystals were left in the article by mistake
........
VASP calculation (PBE) on LiCrOs after structural relaxation.

As for the crystal system: cubic. The calculation puts the density of states at the Fermi level at 1.412 states/eV/f.u. For the size of the total moment, the calculation gives 1.0 μB per formula unit. The formation energy from the elements is 66.3 kJ/mol of atoms. As for the symmetry: F-43m, No. 216.

The structure in POSCAR format:
```
LiCrOs
1.0
-1.693 2.273 -2.782
-2.030 -1.680 -2.972
-3.954 0.345 -0.148
Cr Li Os
1 1 1
direct
0.750 0.750 0.750
0.000 0.000 0.000
0.500 0.500 0.500
```

---

VASP calculation (PBE) on LiCrOs after structural relaxation.

As for the crystal system: orthorhombic. The calculation puts the density of states at the Fermi level at 3.030 states/eV/f.u. For the size of the total moment, the calculation gives 0.0 μB per formula unit. The formation energy from the elements is 33.5 kJ/mol of atoms. As for the symmetry: Fmm2, No. 42.

The structure in POSCAR format:
```
LiCrOs
1.0
7.092 0.014 -0.009
6.418 2.516 0.007
0.675 -0.946 2.317
Cr Os Li
1 1 1
direct
0.008 0.008 0.992
0.660 0.660 0.340
0.332 0.332 0.668
```

---

Repeat the second record exactly.
VASP calculation (PBE) on LiCrOs after structural relaxation.

As for the crystal system: orthorhombic. The calculation puts the density of states at the Fermi level at 3.030 states/eV/f.u. For the size of the total moment, the calculation gives 0.0 μB per formula unit. The formation energy from the elements is 33.5 kJ/mol of atoms. As for the symmetry: Fmm2, No. 42.

The structure in POSCAR format:
```
LiCrOs
1.0
7.092 0.014 -0.009
6.418 2.516 0.007
0.675 -0.946 2.317
Cr Os Li
1 1 1
direct
0.008 0.008 0.992
0.660 0.660 0.340
0.332 0.332 0.668
```

----------

1.
CuGeBr2, relaxed, DFT PBE; SG = No. 225; magnetic moment = 0.00 Bohr magnetons per cell; formation energy (no corrections) = 0.255 eV per atom; energy above the most stable polymorph in this dataset = 0.64 eV/f.u.; uncorrected energy = -2.759 eV per atom
1.0
3.0374 -3.9452 0.1282
-1.3600 -4.2620 -2.1890
2.2973 -1.5101 -4.1531
Ge Cu Br
1 1 2
direct
0.5000 0.5000 0.5000
0.0000 0.0000 0.0000
0.2500 0.2500 0.2500
0.7500 0.7500 0.7500

2.
BaNpTi2O8, relaxed, DFT PBE; SG = No. 2; magnetic moment = 1.00 Bohr magnetons per cell; formation energy (no corrections) = -2.907 eV per atom; uncorrected energy = -8.767 eV per atom
1.0
5.1705 0.6305 0.5005
0.6967 5.1635 0.5056
0.7589 0.7416 7.5030
Ba Np Ti O
1 1 2 8
direct
0.0000 0.0000 0.5000
0.0000 0.0000 0.0000
0.4554 0.4553 0.7027
0.5446 0.5447 0.2973
0.2440 0.7655 0.2098
0.7660 0.7678 0.0868
0.7668 0.2450 0.2094
0.7560 0.2345 0.7902
0.2340 0.2322 0.9132
0.2332 0.7550 0.7906
0.6512 0.6529 0.4851
0.3488 0.3471 0.5149

3.
HfCu3P, relaxed, DFT PBE; SG = No. 221; magnetic moment = 0.00 Bohr magnetons per cell; formation energy from the elements = 782 kJ/mol of formula units; energy above the most stable polymorph in this dataset = 6.54 eV/f.u.; uncorrected energy = -3.909 eV per atom
1.0
-3.5833 1.3676 -2.9126
........
Jobs for Justice, a pro-union political group, was heavily represented at the protest and included many Detroit youth, a significant portion of whom were paid to attend the event. There was very little participation from broader sections of the working class in Detroit, a city suffering from a real unemployment rate of 50 percent.
Wednesday’s event was part of a series of protests organized by 99 Percent Spring in the run-up to the November elections. The Occupy protests erupted in September of last year largely outside the control of the trade unions and the Democratic Party. There was in fact widespread distrust of the unions and opposition to the Democratic Party and Obama administration.
The trade unions responded to the emergence of these protests with a mixture of incredulity and hostility. But once they got their bearings, they have sought to take ever-firmer control, reorienting any opposition along nationalist, pro-Democratic Party, and anti-working class lines.
The organization of 99 Percent Spring in February was coordinated with and other Democratic Party front groups, with the ultimate aim of promoting the reelection of Obama. While the organization claims to be nonpartisan, even the most cursory look at its web site and publications makes clear that it is essentially run by supporters of the Democratic Party. Even the organization’s sign-up form is hosted on
Earlier this month, the group conducted training sessions in “nonviolent resistance” throughout the country, including one at UAW Local 600 in Detroit, the former local of UAW President Bob King.
• Between two parts of the page: calculated crystals:
-- begin --
Here is YSe2O6 after structural relaxation from the Alexandria database. Energies are from GGA-PBE.

Cell: 8.711 10.235 7.969 Å, 90.00 114.22 90.00°
Space group C2/c (No. 15)
Unique sites:
Y1 0.000 0.041 0.250 x4
Se1 0.197 0.370 0.265 x8
O1 0.102 0.098 0.569 x8
O2 0.182 0.205 0.255 x8
O3 0.232 0.429 0.084 x8

Properties
- crystal system = monoclinic
- total energy (eV/atom) = -6.2577
- DOS at the Fermi energy (states/eV per atom) = 0.32
- formation energy without anion corrections (meV per atom) = -1460


Here is AlReOF2 after structural relaxation from the Alexandria database. Energies are from GGA-PBE.

Cell: 4.259 4.259 3.452 Å, 90.00 90.00 90.00°
Space group P4/mmm (No. 123)
Unique sites:
Al1 0.000 0.000 0.000 x1
Re1 0.500 0.500 0.500 x1
O1 0.000 0.000 0.500 x1
F1 0.000 0.500 0.000 x2

Properties
- crystal system = tetragonal
- total energy (eV/atom) = -5.9364
- energy relative to the lowest polymorph listed for this composition (eV per atom) = 0.000
- DOS at the Fermi energy (states/eV per atom) = 0.29
- formation energy without anion corrections (meV per atom) = -958


Here is Li3Ag6Sn2 after structural relaxation from the Alexandria database. Energies are from GGA-PBE.

Cell: 4.929 6.822 6.952 Å, 108.95 106.09 100.18°
Space group P-1 (No. 2)
Unique sites:
Li1 0.000 0.000 0.000 x1
Li2 0.088 0.810 0.370 x2
Ag1 0.178 0.659 0.715 x2
Ag2 0.355 0.239 0.447 x2
Ag3 0.446 0.100 0.816 x2
Sn1 0.280 0.448 0.116 x2

Properties
- crystal system = triclinic
- total energy (eV/atom) = -2.9414
- DOS at the Fermi energy (states/eV per atom) = 0.26
- formation energy from the elements (eV per atom) = -0.14


Here is MoRh2 after structural relaxation from the Alexandria database. Energies are from GGA-PBE.

Cell: 2.707 3.998 17.795 Å, 90.00 90.00 90.00°
Space group Imma (No. 74)
Unique sites:
Mo1 0.000 0.250 0.109 x4
Rh1 0.000 0.250 0.544 x4
Rh2 0.000 0.250 0.690 x4

Properties
- crystal system = orthorhombic
- total energy (eV/atom) = -8.3711
- DOS at the Fermi energy (states/eV per atom) = 0.83
- formation energy from the elements (eV per atom) = 0.14


Here is Sb2TeIrBr after structural relaxation from the Alexandria database. Energies are from GGA-PBE.

Cell: 5.318 5.318 5.438 Å, 90.00 90.00 90.00°
Space group P4/mmm (No. 123)
Unique sites:
Sb1 0.000 0.500 0.000 x2
Te1 0.000 0.000 0.500 x1
Ir1 0.500 0.500 0.500 x1
Br1 0.000 0.000 0.000 x1

Properties
- crystal system = tetragonal
- total energy (eV/atom) = -2.6752
- energy relative to the lowest polymorph listed for this composition (eV per atom) = 1.304
- DOS at the Fermi energy (states/eV per atom) = 1.13
- formation energy without anion corrections (meV per atom) = 1709


Here is K2AgBrCl2 after structural relaxation from the Alexandria database. Energies are from GGA-PBE.

Cell: 14.408 9.429 6.319 Å, 90.00 90.00 90.00°
Space group Cmc2_1 (No. 36)
Unique sites:
K1 0.167 0.160 0.000 x8
Ag1 0.000 0.334 0.464 x4
Br1 0.000 0.381 0.017 x4
Cl1 0.150 0.169 0.502 x8

Properties
- crystal system = orthorhombic
-- stop --
The training sessions, designed to integrate participants in the Occupy movement with the union officialdom, were the preparatory stages for a series of corporate campaigns, including a protest on April 24 at a Wells Fargo shareholders meeting, and further campaigns against Verizon, Bank of America, Sallie Mae, and Wal-Mart.

The signers of the organization’s founding letter include Bob King of the United Auto Workers, AFL-CIO President Richard Trumka, and Justin Ruben of
In its public presentation, the 99 Percent Spring campaign aims to obscure as much as possible its connections to the Democratic Party and its subservience to the trade unions. The organization claims, “elections are not discussed in our training program and the trainings are explicitly non-electoral in nature.”
At Wednesday’s protest, demonstrators marched and chanted outside Detroit’s Renaissance Center, while several dozen protestors who owned GE stock chanted from inside the meeting and were led away by security.
The aim of the protest was to re-direct popular anger at GE, which paid no taxes last year, while simultaneously boosting the credibility of the trade unions and their support for Obama’s reelection drive.
UAW president Bob King announced the UAW's support for the 99 Percent Spring campaign on February 11. King called for a program of “direct action” against “right-wing Republicans” and “one-percenters,” led by the UAW and other unions.
“In April, we’re going to be part of a broad coalition that’s going to be training our membership and anybody who cares about justice in this society in nonviolent direct action,” King said. “It will take direct action. It will take us being willing to face arrest. It will take us being willing to be part of marches and demonstrations,” he added.
He added that the first target would be GE. “It is morally wrong—it is absolutely wrong—that (GE makes) billions and billions and billions of dollars and pay not a single penny in taxes. Enough is enough. We’re the 99 percent who want 100 percent fairness for everyone.”
The throughly cynical character of King’s campaign against GE, which he presented unequivocally as a union drive for the reelection of Obama, is exposed by the fact that GE’s CEO, Jeffrey Immelt, is the chair of Obama’s “Jobs and Competitiveness Council.” The aim of this council is to package Obama’s pro-corporate policies as measures to create jobs. The union apparatus is also represented on the council, which includes on its board none other than Trumka himself.
Wednesday’s shareholders meeting took place at Detroit’s Renaissance Center, the headquarters of General Motors. The UAW and King have done everything in their power to expand the profitability of GM, together with Ford and Chrysler. Between 2006 and 2010, the concessions granted by the UAW cut Chrysler’s labor costs by 35 percent. The unions are currently participating in a tour with the president, touting the administration’s rescue of the auto companies through the impoverishment of auto workers.
### Inserted here: records of crystals
+++
A geometry-optimized TiP2PdS structure, computed with PBE.

Results
The raw formation energy is 588 meV/atom. The calculation puts the energy above the most stable polymorph in this dataset at 1.562 eV per formula unit. For the calculated density, the calculation gives 4.17 g cm⁻³. As for the crystal system: tetragonal.

Unit cell a=4.5842 b=4.5842 c=4.7001 alpha=90.00 beta=90.00 gamma=90.00
Positions (direct):
P 0.0000 0.5000 0.0000
P 0.5000 0.0000 0.0000
S 0.0000 0.0000 0.5000
Pd 0.0000 0.0000 0.0000
Ti 0.5000 0.5000 0.5000

~~~~~

No. 1
First-principles (PBE) data for an optimized crystal structure of TbHoInRu, as listed in Alexandria.

Values from the calculation:
* crystal system: tetragonal
* formation energy: -1.8 eV per formula unit
* distance to the lowest polymorph of the same formula: 0.000 eV/atom

Lattice parameters (Å, degrees): 3.4491 3.4491 7.8601 90.00 90.00 90.00
With the nearest neighbours (Å) after each atom.
Fractional positions:
1 Ru 0.0000 0.0000 0.5679  4 Ho 2.93, 4 Tb 2.96
2 Ho 0.5000 0.5000 0.3609  4 Ru 2.93
3 Tb 0.5000 0.5000 0.7819  4 Ru 2.96, 1 Ho 3.31
4 In 0.0000 0.0000 0.0740  4 Ho 3.32, 4 Tb 3.35, 4 In 3.45

---

No. 2
First-principles (PBE) data for an optimized crystal structure of PmSm2Ho4Mg, as listed in Alexandria.

Values from the calculation:
* crystal system: tetragonal
* formation energy: 0.2 eV per formula unit

Lattice parameters (Å, degrees): 4.9622 4.9702 11.2847 63.87 90.00 90.00
With the nearest neighbours (Å) after each atom.
Fractional positions:
1 Ho 0.5000 0.7471 0.2530  4 Ho 3.51, 2 Mg 3.52, 4 Sm 3.53-3.57, 2 Pm 3.57
2 Ho 0.0000 0.2470 0.2531  4 Ho 3.51, 4 Sm 3.52-3.57, 2 Mg 3.53, 2 Pm 3.57
3 Ho 0.0000 0.7530 0.7469  4 Ho 3.51, 4 Sm 3.52-3.57, 2 Mg 3.53, 2 Pm 3.57
4 Ho 0.5000 0.2529 0.7470  4 Ho 3.51, 2 Mg 3.52, 4 Sm 3.53-3.57, 2 Pm 3.57
5 Sm 0.0000 0.0000 0.0000  4 Pm 3.51, 8 Ho 3.57
6 Sm 0.5000 0.0000 0.5000  4 Mg 3.51, 8 Ho 3.52-3.53
7 Pm 0.5000 0.5000 0.0000  4 Sm 3.51, 8 Ho 3.57
8 Mg 0.0000 0.5000 0.5000  4 Sm 3.51, 8 Ho 3.52-3.53

---

No. 3
First-principles (PBE) data for an optimized crystal structure of AcPmBiSb, as listed in Alexandria.

Values from the calculation:
* energy relative to the elements, uncorrected: -2.71 eV/f.u.
* crystal system: trigonal
* distance to the lowest polymorph of the same formula: 0.124 eV/atom

Lattice parameters (Å, degrees): 5.5630 5.5630 13.0134 77.66 77.66 60.00
With the nearest neighbours (Å) after each atom.
Fractional positions:
1 Bi 0.7038 0.7038 0.8885  4 Pm 3.12-3.23, 1 Ac 3.36
2 Bi 0.2962 0.2962 0.1115  4 Pm 3.12-3.23, 1 Ac 3.36
3 Ac 0.7926 0.7926 0.6222  4 Sb 3.24-3.53, 1 Bi 3.36
4 Ac 0.2074 0.2074 0.3778  4 Sb 3.24-3.53, 1 Bi 3.36
5 Pm 0.3787 0.3787 0.8639  4 Bi 3.12-3.23
6 Pm 0.6213 0.6213 0.1361  4 Bi 3.12-3.23
7 Sb 0.1142 0.1142 0.6573  4 Ac 3.24-3.53
8 Sb 0.8858 0.8858 0.3427  4 Ac 3.24-3.53

---

No. 4
First-principles (PBE) data for an optimized crystal structure of ScCoNiPt2, as listed in Alexandria.

Values from the calculation:
+++
The ease with which the trade unions and Democratic Party officialdom have been able to take control of what is left of the Occupy movement points to the fundamental problems of the Occupy movement itself. While animated with the spirit of popular opposition to social inequality, it was never armed with a political orientation to the working class or a socialist perspective.
The struggle against social inequality requires above all a conscious and active break with the Democratic Party and trade unions, who are the most ferocious defenders of capitalism, and do everything in their power to keep working people subjugated and powerless.